File
The following is a DFT calculation (GGA-PBE) of a geometry-optimized Y2CuMo2 structure.

```
10
Lattice="6.913 0.000 0.000 0.000 6.913 0.000 0.000 0.000 4.466" Properties=species:S:1:pos:R:3 pbc="T T T"
Y 2.211 1.245 2.233
Mo 2.629 6.086 0.000
Mo 6.086 4.284 0.000
Y 5.668 2.211 2.233
Mo 0.827 2.629 0.000
Cu 3.457 3.457 0.000
Y 1.245 4.702 2.233
Y 4.702 5.668 2.233
Cu 0.000 0.000 0.000
Mo 4.284 0.827 0.000
```

Summary:
**ΔH_f (0 K)**: 327 meV/atom

~~~~~

Entry 1:
# RbZr2ReSb | Alexandria via LeMat-Bulk | PBE | relaxed
# energy relative to the elements, uncorrected	2354	meV/atom
data_RbZr2ReSb
_cell_length_a 5.020
_cell_length_b 5.020
_cell_length_c 4.783
_cell_angle_alpha 90.00
_cell_angle_beta 90.00
_cell_angle_gamma 90.00
_symmetry_space_group_name_H-M 'P 4/m m m'
_symmetry_Int_Tables_number 123
_symmetry_space_group_name_Hall '-P 4 2'
loop_
_atom_site_label
_atom_site_type_symbol
_atom_site_fract_x
_atom_site_fract_y
_atom_site_fract_z
_atom_site_occupancy
Rb1 Rb 0.000 0.000 0.000 1
Zr1 Zr 0.000 0.500 0.000 1
Re1 Re 0.000 0.000 0.500 1
Sb1 Sb 0.500 0.500 0.500 1

***

Entry 2:
# Ca2Ga4Cu3Rh | Alexandria via LeMat-Bulk | PBE | relaxed
# energy of formation	-0.410	eV per atom
data_Ca2Ga4Cu3Rh
_cell_length_a 4.103
_cell_length_b 4.103
_cell_length_c 10.661
_cell_angle_alpha 90.00
_cell_angle_beta 90.00
_cell_angle_gamma 90.00
_symmetry_space_group_name_H-M 'P -4 m 2'
_symmetry_Int_Tables_number 115
_symmetry_space_group_name_Hall 'P -4 -2'
loop_
_atom_site_label
_atom_site_type_symbol
_atom_site_fract_x
_atom_site_fract_y
_atom_site_fract_z
_atom_site_occupancy
Ca1 Ca 0.000 0.500 0.244 1
Ga1 Ga 0.000 0.000 0.000 1
Ga2 Ga 0.000 0.500 0.633 1
Ga3 Ga 0.500 0.500 0.000 1
Cu1 Cu 0.000 0.500 0.864 1
Cu2 Cu 0.500 0.500 0.500 1
Rh1 Rh 0.000 0.000 0.500 1

***

Entry 3:
# LaAl2Ag5 | Alexandria via LeMat-Bulk | PBE | relaxed
# energy of formation	-0.182	eV per atom
data_LaAl2Ag5
_cell_length_a 4.199
_cell_length_b 7.607
_cell_length_c 10.312
_cell_angle_alpha 90.00
_cell_angle_beta 90.00
_cell_angle_gamma 90.00
_symmetry_space_group_name_H-M 'I m m m'
_symmetry_Int_Tables_number 71
_symmetry_space_group_name_Hall '-I 2 2'
loop_
_atom_site_label
_atom_site_type_symbol
_atom_site_fract_x
_atom_site_fract_y
_atom_site_fract_z
_atom_site_occupancy
La1 La 0.000 0.000 0.000 1
Al1 Al 0.000 0.500 0.253 1
Ag1 Ag 0.000 0.189 0.355 1
Ag2 Ag 0.000 0.500 0.000 1

***

Entry 4:
# Pr6Sm10Th | Alexandria via LeMat-Bulk | PBE | relaxed
# energy of formation	0.143	eV per atom
data_Pr6Sm10Th
_cell_length_a 9.8715
_cell_length_b 9.8715
_cell_length_c 7.0720
_cell_angle_alpha 90.00
_cell_angle_beta 90.00
_cell_angle_gamma 120.00
_symmetry_space_group_name_H-M 'P -3 1 m'
_symmetry_Int_Tables_number 162
_symmetry_space_group_name_Hall '-P 3 2'
loop_
_atom_site_label
_atom_site_type_symbol
_atom_site_fract_x
_atom_site_fract_y
_atom_site_fract_z
_atom_site_occupancy
Pr1 Pr 0.0000 0.3753 0.1993 1
Sm1 Sm 0.0000 0.2708 0.6842 1
Sm2 Sm 0.3333 0.6667 0.0000 1
Sm3 Sm 0.3333 0.6667 0.5000 1
Th1 Th 0.0000 0.0000 0.0000 1

***

no.,energy (eV per atom)
1,-4.5728
2,-3.9846
3,-3.5156
4,-4.7559

~~~~~

Density functional theory data (PBE) for an optimized crystal structure of Li4CaAg7.

Results
As for the energy of formation from the pure elements: -0.053 eV/atom.

abc: 10.930 5.247 9.805
angles: 90.00 122.13 90.00
Space group C2/m (No. 12)
Inequivalent atoms, fractional coordinates:
Li1 0.083 0.000 0.270
Li2 0.230 0.000 0.824
Ca1 0.000 0.500 0.500
Ag1 0.000 0.000 0.500
Ag2 0.048 0.500 0.876
Ag3 0.153 0.000 0.044
Ag4 0.221 0.500 0.411



Density functional theory data (PBE) for an optimized crystal structure of Li5Ca3Ag2.

Results
As for the energy of formation from the pure elements: -0.127 eV/atom.

abc: 10.619 10.619 4.396
angles: 90.00 90.00 90.00
Space group P4/mbm (No. 127)
Inequivalent atoms, fractional coordinates:
Li1 0.000 0.500 0.000
Li2 0.070 0.230 0.000
Ca1 0.000 0.000 0.500
Ca2 0.177 0.677 0.500
Ag1 0.114 0.386 0.500

Activity
The reader should repeat the notes further above unchanged.

Result
The following is a DFT calculation (GGA-PBE) of a geometry-optimized Y2CuMo2 structure.

```
10
Lattice="6.913 0.000 0.000 0.000 6.913 0.000 0.000 0.000 4.466" Properties=species:S:1:pos:R:3 pbc="T T T"
Y 2.211 1.245 2.233
Mo 2.629 6.086 0.000
Mo 6.086 4.284 0.000
Y 5.668 2.211 2.233
Mo 0.827 2.629 0.000
Cu 3.457 3.457 0.000
Y 1.245 4.702 2.233
Y 4.702 5.668 2.233
Cu 0.000 0.000 0.000
Mo 4.284 0.827 0.000
```

Summary:
**ΔH_f (0 K)**: 327 meV/atom

~~~~~

Entry 1:
# RbZr2ReSb | Alexandria via LeMat-Bulk | PBE | relaxed
# energy relative to the elements, uncorrected	2354	meV/atom
data_RbZr2ReSb
_cell_length_a 5.020
_cell_length_b 5.020
_cell_length_c 4.783
_cell_angle_alpha 90.00
_cell_angle_beta 90.00
_cell_angle_gamma 90.00
_symmetry_space_group_name_H-M 'P 4/m m m'
_symmetry_Int_Tables_number 123
_symmetry_space_group_name_Hall '-P 4 2'
loop_
_atom_site_label
_atom_site_type_symbol
_atom_site_fract_x
_atom_site_fract_y
_atom_site_fract_z
_atom_site_occupancy
Rb1 Rb 0.000 0.000 0.000 1
Zr1 Zr 0.000 0.500 0.000 1
Re1 Re 0.000 0.000 0.500 1
Sb1 Sb 0.500 0.500 0.500 1

***

Entry 2:
# Ca2Ga4Cu3Rh | Alexandria via LeMat-Bulk | PBE | relaxed
# energy of formation	-0.410	eV per atom
data_Ca2Ga4Cu3Rh
_cell_length_a 4.103
_cell_length_b 4.103
_cell_length_c 10.661
_cell_angle_alpha 90.00
_cell_angle_beta 90.00
_cell_angle_gamma 90.00
_symmetry_space_group_name_H-M 'P -4 m 2'
_symmetry_Int_Tables_number 115
_symmetry_space_group_name_Hall 'P -4 -2'
loop_
_atom_site_label
_atom_site_type_symbol
_atom_site_fract_x
_atom_site_fract_y
_atom_site_fract_z
_atom_site_occupancy
Ca1 Ca 0.000 0.500 0.244 1
Ga1 Ga 0.000 0.000 0.000 1
Ga2 Ga 0.000 0.500 0.633 1
Ga3 Ga 0.500 0.500 0.000 1
Cu1 Cu 0.000 0.500 0.864 1
Cu2 Cu 0.500 0.500 0.500 1
Rh1 Rh 0.000 0.000 0.500 1

***

Entry 3:
# LaAl2Ag5 | Alexandria via LeMat-Bulk | PBE | relaxed
# energy of formation	-0.182	eV per atom
data_LaAl2Ag5
_cell_length_a 4.199
_cell_length_b 7.607
_cell_length_c 10.312
_cell_angle_alpha 90.00
_cell_angle_beta 90.00
_cell_angle_gamma 90.00
_symmetry_space_group_name_H-M 'I m m m'
_symmetry_Int_Tables_number 71
_symmetry_space_group_name_Hall '-I 2 2'
loop_
_atom_site_label
_atom_site_type_symbol
_atom_site_fract_x
_atom_site_fract_y
_atom_site_fract_z
_atom_site_occupancy
La1 La 0.000 0.000 0.000 1
Al1 Al 0.000 0.500 0.253 1
Ag1 Ag 0.000 0.189 0.355 1
Ag2 Ag 0.000 0.500 0.000 1

***

Entry 4:
# Pr6Sm10Th | Alexandria via LeMat-Bulk | PBE | relaxed
# energy of formation	0.143	eV per atom
data_Pr6Sm10Th
_cell_length_a 9.8715
_cell_length_b 9.8715
_cell_length_c 7.0720
_cell_angle_alpha 90.00
_cell_angle_beta 90.00
_cell_angle_gamma 120.00
_symmetry_space_group_name_H-M 'P -3 1 m'
_symmetry_Int_Tables_number 162
_symmetry_space_group_name_Hall '-P 3 2'
loop_
_atom_site_label
_atom_site_type_symbol
_atom_site_fract_x
_atom_site_fract_y
_atom_site_fract_z
_atom_site_occupancy
Pr1 Pr 0.0000 0.3753 0.1993 1
Sm1 Sm 0.0000 0.2708 0.6842 1
Sm2 Sm 0.3333 0.6667 0.0000 1
Sm3 Sm 0.3333 0.6667 0.5000 1
Th1 Th 0.0000 0.0000 0.0000 1

***

no.,energy (eV per atom)
1,-4.5728
2,-3.9846
3,-3.5156
4,-4.7559

~~~~~

Density functional theory data (PBE) for an optimized crystal structure of Li4CaAg7.

Results
As for the energy of formation from the pure elements: -0.053 eV/atom.

abc: 10.930 5.247 9.805
angles: 90.00 122.13 90.00
Space group C2/m (No. 12)
Inequivalent atoms, fractional coordinates:
Li1 0.083 0.000 0.270
Li2 0.230 0.000 0.824
Ca1 0.000 0.500 0.500
Ag1 0.000 0.000 0.500
Ag2 0.048 0.500 0.876
Ag3 0.153 0.000 0.044
Ag4 0.221 0.500 0.411



Density functional theory data (PBE) for an optimized crystal structure of Li5Ca3Ag2.

Results
As for the energy of formation from the pure elements: -0.127 eV/atom.

abc: 10.619 10.619 4.396
angles: 90.00 90.00 90.00
Space group P4/mbm (No. 127)
Inequivalent atoms, fractional coordinates:
Li1 0.000 0.500 0.000
Li2 0.070 0.230 0.000
Ca1 0.000 0.000 0.500
Ca2 0.177 0.677 0.500
Ag1 0.114 0.386 0.500